### Work order
The reader should echo the material underneath from the first line to the one with "0.250)." with every line break kept.

### Data
The following is a DFT calculation (PBE) of a relaxed structure of Co3TeS.

Calculated values
energy relative to the elements, uncorrected = 0.29 eV per atom
E = -27.1 eV/cell
relative energy among the computed polymorphs = 0.00 eV per formula unit

a b c (Å): 4.210 4.210 4.210
angles (deg): 90.00 90.00 90.00
Space group Pm-3m (No. 221)
Asymmetric unit:
Co 0.000 0.000 0.500
Te 0.500 0.500 0.500
S 0.000 0.000 0.000


CoSeO3: relaxed, PBE+U.

Cell lengths 5.897, 7.537, 5.030 Å; angles 90.00, 90.00, 90.00 degrees
Positions (direct):
1 Co 0.000 0.000 0.000
2 Co 0.000 0.500 0.000
3 Co 0.500 0.000 0.500
4 Co 0.500 0.500 0.500
5 Se 0.015 0.250 0.482
6 Se 0.485 0.750 0.982
7 Se 0.515 0.250 0.018
8 Se 0.985 0.750 0.518
9 O 0.070 0.250 0.824
10 O 0.182 0.074 0.360
11 O 0.182 0.426 0.360
12 O 0.318 0.574 0.860
13 O 0.318 0.926 0.860
14 O 0.430 0.750 0.324
15 O 0.570 0.250 0.676
16 O 0.682 0.074 0.140
17 O 0.682 0.426 0.140
18 O 0.818 0.574 0.640
19 O 0.818 0.926 0.640
20 O 0.930 0.750 0.176

Total DFT energy (no corrections) ... -5.387 eV per atom


Computed, not measured: Pa5Ti2N12 after structural relaxation at the PBE level of DFT.

It has space group C2/m (No. 12), with a = 12.356 Å, b = 5.904 Å, c = 7.409 Å, α = 90.00°, β = 106.97° and γ = 90.00°. The inequivalent atoms are Pa at (0.000, 0.000, 0.000), Pa at (0.187, 0.500, 0.849), Pa at (0.191, 0.500, 0.341), Ti at (0.000, 0.237, 0.500), N at (0.003, 0.000, 0.309), N at (0.003, 0.500, 0.306), N at (0.155, 0.247, 0.074) and N at (0.171, 0.273, 0.591).

For the size of the total moment, the calculation gives 0.6 μB per formula unit. The value obtained for the total energy is -9.944 eV per atom. The value obtained for the formation energy from raw total energies is -1.356 eV/atom.

---

Computed, not measured: Ca2HPd4Au2 after structural relaxation at the PBE level of DFT.

It has space group I4/mmm (No. 139), with a = 5.931 Å, b = 5.931 Å, c = 8.407 Å, α = 90.00°, β = 90.00° and γ = 90.00°. The inequivalent atoms are Ca at (0.000, 0.000, 0.230), H at (0.000, 0.000, 0.500), Pd at (0.240, 0.240, 0.500) and Au at (0.000, 0.500, 0.250).

For the size of the total moment, the calculation gives 0.0 μB per formula unit. The value obtained for the total energy is -4.403 eV per atom.

---

Computed, not measured: K2PdPb after structural relaxation at the PBE level of DFT.

It has space group I-42d (No. 122), with a = 11.843 Å, b = 11.843 Å, c = 5.249 Å, α = 90.00°, β = 90.00° and γ = 90.00°. The inequivalent atoms are K at (0.091, 0.250, 0.125), Pd at (0.000, 0.000, 0.000) and Pb at (0.000, 0.000, 0.500).

For the size of the total moment, the calculation gives 0.0 μB per formula unit. The value obtained for the total energy is -2.808 eV per atom. Its formation enthalpy at 0 K is -0.03 eV per atom.

### Here it is
The following is a DFT calculation (PBE) of a relaxed structure of Co3TeS.

Calculated values
energy relative to the elements, uncorrected = 0.29 eV per atom
E = -27.1 eV/cell
relative energy among the computed polymorphs = 0.00 eV per formula unit

a b c (Å): 4.210 4.210 4.210
angles (deg): 90.00 90.00 90.00
Space group Pm-3m (No. 221)
Asymmetric unit:
Co 0.000 0.000 0.500
Te 0.500 0.500 0.500
S 0.000 0.000 0.000


CoSeO3: relaxed, PBE+U.

Cell lengths 5.897, 7.537, 5.030 Å; angles 90.00, 90.00, 90.00 degrees
Positions (direct):
1 Co 0.000 0.000 0.000
2 Co 0.000 0.500 0.000
3 Co 0.500 0.000 0.500
4 Co 0.500 0.500 0.500
5 Se 0.015 0.250 0.482
6 Se 0.485 0.750 0.982
7 Se 0.515 0.250 0.018
8 Se 0.985 0.750 0.518
9 O 0.070 0.250 0.824
10 O 0.182 0.074 0.360
11 O 0.182 0.426 0.360
12 O 0.318 0.574 0.860
13 O 0.318 0.926 0.860
14 O 0.430 0.750 0.324
15 O 0.570 0.250 0.676
16 O 0.682 0.074 0.140
17 O 0.682 0.426 0.140
18 O 0.818 0.574 0.640
19 O 0.818 0.926 0.640
20 O 0.930 0.750 0.176

Total DFT energy (no corrections) ... -5.387 eV per atom


Computed, not measured: Pa5Ti2N12 after structural relaxation at the PBE level of DFT.

It has space group C2/m (No. 12), with a = 12.356 Å, b = 5.904 Å, c = 7.409 Å, α = 90.00°, β = 106.97° and γ = 90.00°. The inequivalent atoms are Pa at (0.000, 0.000, 0.000), Pa at (0.187, 0.500, 0.849), Pa at (0.191, 0.500, 0.341), Ti at (0.000, 0.237, 0.500), N at (0.003, 0.000, 0.309), N at (0.003, 0.500, 0.306), N at (0.155, 0.247, 0.074) and N at (0.171, 0.273, 0.591).

For the size of the total moment, the calculation gives 0.6 μB per formula unit. The value obtained for the total energy is -9.944 eV per atom. The value obtained for the formation energy from raw total energies is -1.356 eV/atom.

---

Computed, not measured: Ca2HPd4Au2 after structural relaxation at the PBE level of DFT.

It has space group I4/mmm (No. 139), with a = 5.931 Å, b = 5.931 Å, c = 8.407 Å, α = 90.00°, β = 90.00° and γ = 90.00°. The inequivalent atoms are Ca at (0.000, 0.000, 0.230), H at (0.000, 0.000, 0.500), Pd at (0.240, 0.240, 0.500) and Au at (0.000, 0.500, 0.250).